3/9/2008 c23 sydney
well thats semi sorted
but wohoo michelle might be prego
i fell kinda nasty wishin the boy aint carters kid but i still wish it
well thats semi sorted
but wohoo michelle might be prego
i fell kinda nasty wishin the boy aint carters kid but i still wish it
3/8/2008 c22 Hazelnut Romance
new reader. nice story u have. i feel sorry for gracie though. i didn't believe carter would do something like this. does he REALLY love gracie? i hope this ends with a happy ending. *sigh* how often do u update?
new reader. nice story u have. i feel sorry for gracie though. i didn't believe carter would do something like this. does he REALLY love gracie? i hope this ends with a happy ending. *sigh* how often do u update?
3/8/2008 c22 ayoo marie
I spent all day reading this story.
I love it!
gr, why would carter cheat on her?
I can not wait to find out what happens next.
I spent all day reading this story.
I love it!
gr, why would carter cheat on her?
I can not wait to find out what happens next.
3/6/2008 c22 loveislove
is carter gone
like will they break up
cuz if they do
i will be very sad
like omg how could the writer do this sad
is carter gone
like will they break up
cuz if they do
i will be very sad
like omg how could the writer do this sad
3/5/2008 c22
10under the bed
Oh, it'd be hard to explain to a kid what had happened in that situation.

Materials data, as found in the file >
********
A plane-wave DFT calculation with PBE with a Hubbard U was carried out for a geometry-optimized Ba3Cr2O8 structure.

a = 5.846 Å, b = 5.848 Å, c = 14.819 Å
α = 101.27°, β = 90.05°, γ = 119.97°
Fractional positions:
Ba1 0.000 0.000 0.000
Ba2 0.079 0.186 0.309
Ba3 0.373 0.774 0.191
Ba4 0.487 0.004 0.500
Ba5 0.581 0.187 0.809
Ba6 0.875 0.775 0.691
Cr1 0.181 0.389 0.610
Cr2 0.275 0.575 0.889
Cr3 0.681 0.388 0.110
Cr4 0.774 0.574 0.390
O1 0.082 0.713 0.349
O2 0.101 0.225 0.847
O3 0.106 0.713 0.848
O4 0.129 0.278 0.493
O5 0.287 0.627 0.007
O6 0.354 0.737 0.650
O7 0.359 0.259 0.652
O8 0.375 0.257 0.154
O9 0.585 0.713 0.850
O10 0.600 0.225 0.347
O11 0.604 0.714 0.349
O12 0.612 0.286 0.993
O13 0.797 0.622 0.508
O14 0.860 0.737 0.150
O15 0.861 0.259 0.151
O16 0.873 0.262 0.652

Calculated values
- total energy (eV/atom) = -6.87
- ΔE_f (eV/atom) = -2.63



A plane-wave DFT calculation with PBE with a Hubbard U was carried out for a geometry-optimized Ba2MgV2Si4O14 structure.

a = 5.711 Å, b = 7.459 Å, c = 8.247 Å
α = 101.52°, β = 109.32°, γ = 94.54°
Fractional positions:
Ba1 0.000 0.000 0.000
Ba2 0.315 0.622 0.660
Mg1 0.872 0.243 0.734
V1 0.001 0.569 0.107
V2 0.291 0.092 0.533
Si1 0.523 0.247 0.029
Si2 0.528 0.816 0.099
Si3 0.699 0.401 0.453
Si4 0.772 0.850 0.517
O1 0.071 0.930 0.614
O2 0.144 0.557 0.322
O3 0.169 0.001 0.305
O4 0.240 0.706 0.011
O5 0.247 0.267 0.901
O6 0.524 0.020 0.036
O7 0.531 0.324 0.562
O8 0.582 0.355 0.237
O9 0.634 0.978 0.636
O10 0.651 0.858 0.312
O11 0.706 0.707 0.007
O12 0.737 0.632 0.534
O13 0.757 0.311 0.964
O14 0.962 0.327 0.542

Calculated values
- total energy (eV/atom) = -7.35
- ΔE_f (eV/atom) = -2.93



A plane-wave DFT calculation with PBE with a Hubbard U was carried out for a geometry-optimized LiVPO5 structure.

a = 5.162 Å, b = 9.124 Å, c = 17.743 Å
α = 90.00°, β = 91.34°, γ = 90.00°
Fractional positions:
Li1 0.087 0.050 0.290
Li2 0.087 0.450 0.790
Li3 0.134 0.727 0.391
Li4 0.134 0.773 0.891
Li5 0.866 0.227 0.109
Li6 0.866 0.273 0.609
Li7 0.913 0.550 0.210
Li8 0.913 0.950 0.710
V1 0.002 0.124 0.875
V2 0.002 0.376 0.375
V3 0.393 0.081 0.634
V4 0.393 0.419 0.134
V5 0.607 0.581 0.866
V6 0.607 0.919 0.366
V7 0.998 0.624 0.625
V8 0.998 0.876 0.125
P1 0.495 0.731 0.033
P2 0.495 0.769 0.533
P3 0.498 0.087 0.196
P4 0.498 0.413 0.696
P5 0.502 0.587 0.304
P6 0.502 0.913 0.804
P7 0.505 0.231 0.467
P8 0.505 0.269 0.967
O1 0.000 0.250 0.309
O2 0.000 0.250 0.809
O3 0.000 0.750 0.191
O4 0.000 0.750 0.691
O5 0.069 0.091 0.637
O6 0.069 0.409 0.137
O7 0.241 0.040 0.157
O8 0.241 0.460 0.657
O9 0.250 0.682 0.551
O10 0.250 0.818 0.051
O11 0.252 0.533 0.341
O12 0.252 0.967 0.841
O13 0.254 0.181 0.954
O14 0.254 0.319 0.454
O15 0.469 0.707 0.945
O16 0.469 0.793 0.445
O17 0.481 0.038 0.280
O18 0.481 0.462 0.780
O19 0.481 0.743 0.803
O20 0.481 0.757 0.303
O21 0.491 0.085 0.425
O22 0.491 0.415 0.925
********

Oh, it'd be hard to explain to a kid what had happened in that situation.
3/5/2008 c22 Deenu12
wow that was unexpected. i never thought that he would actually cheat one her. this was a very good chapter, update soon
wow that was unexpected. i never thought that he would actually cheat one her. this was a very good chapter, update soon
3/5/2008 c22
I like the story.
The only thing I was just like 0_0 about was, if he cheated on her a year ago, how could the other girl THINK she was pregnant?
Wouldn't she aleady have delivered the baby or something?
Oh and check your grammar and stuff.
Update soon.
See ya.

I like the story.
The only thing I was just like 0_0 about was, if he cheated on her a year ago, how could the other girl THINK she was pregnant?
Wouldn't she aleady have delivered the baby or something?
Oh and check your grammar and stuff.
Update soon.
See ya.
3/5/2008 c22
4Nicole Deming
Well that really sux.. I hope they work it out because I dont wanna see Mia without a dad. Its so hard for children to go through that.

Well that really sux.. I hope they work it out because I dont wanna see Mia without a dad. Its so hard for children to go through that.
3/5/2008 c22 JZK
oh my gawd
i got a feeling something like this would happen
what an idiot
he should have told her straight away
anyway great chapter though
Hope they make up
aiden is so sweet
so is michelle and gavin
I would love friends like them
oh my gawd
i got a feeling something like this would happen
what an idiot
he should have told her straight away
anyway great chapter though
Hope they make up
aiden is so sweet
so is michelle and gavin
I would love friends like them
3/4/2008 c22
He really need to start stop drinking or start carrying a box of condoms with him. LOL. Drink and sex and Carter just don't mix well it leads to babies. lol. I love it keep up the great writing and please post more when you can.

He really need to start stop drinking or start carrying a box of condoms with him. LOL. Drink and sex and Carter just don't mix well it leads to babies. lol. I love it keep up the great writing and please post more when you can.
3/4/2008 c22
9Manga Girl Lover
o what a jerk! how could carter do that to her! gr he makes me angry! but good story! lol btw... smelt = smelled :P hope you post more soon!

o what a jerk! how could carter do that to her! gr he makes me angry! but good story! lol btw... smelt = smelled :P hope you post more soon!